File =
~~~
VASP calculation (GGA-PBE) on a relaxed structure of ZnGe3P2S4O24.

Geometry as POSCAR:
```
ZnGe3P2S4O24
1.0
8.388 -0.010 0.013
-4.203 7.293 0.012
0.035 0.054 21.770
O S P Ge Zn
72 12 6 9 3
Cartesian
5.774 2.360 5.275
-3.109 6.146 15.123
7.574 1.196 12.861
1.580 5.230 21.182
4.616 1.030 9.260
0.526 1.587 15.132
7.407 1.383 6.679
3.691 1.075 20.140
4.824 5.921 17.576
0.446 6.356 7.869
0.609 6.226 1.605
3.337 1.099 5.316
3.590 0.847 13.901
4.827 0.801 3.007
1.486 0.162 12.833
2.606 2.126 0.544
5.156 3.597 9.259
-1.452 5.219 16.493
1.450 5.123 5.551
-0.645 6.253 12.506
1.010 6.011 16.521
2.622 6.973 15.150
6.880 0.217 17.563
3.305 6.148 19.772
0.822 3.676 1.571
5.665 2.666 20.203
-1.077 3.695 18.682
0.843 1.167 1.949
-2.681 7.131 19.793
5.279 1.143 0.595
2.516 2.751 3.047
-0.786 3.700 12.443
5.312 3.774 3.008
0.714 1.488 8.999
0.924 6.095 10.384
-0.498 3.405 21.177
5.815 2.152 11.446
-1.490 4.770 1.599
3.112 1.184 11.494
2.624 2.283 16.224
-0.993 6.090 21.203
-0.495 3.529 5.601
1.642 0.170 6.674
-0.967 5.975 5.566
-0.511 1.613 4.233
3.328 3.664 20.149
0.972 1.290 17.562
3.125 6.079 4.226
-0.562 1.437 19.758
4.829 3.981 16.272
3.116 3.782 13.899
3.530 5.788 6.663
1.519 4.775 12.514
3.628 5.942 12.840
2.644 7.108 9.043
-3.212 6.024 8.992
5.168 1.144 16.260
-1.570 4.519 7.900
3.628 4.009 11.483
4.782 5.924 1.959
-2.593 6.976 4.248
4.781 3.996 0.598
0.503 3.476 16.509
0.628 3.392 10.327
2.765 2.779 9.301
3.523 3.877 5.303
6.919 0.118 1.940
-1.572 5.061 10.327
1.105 3.665 7.905
5.897 2.789 13.950
1.596 4.573 18.690
-0.482 6.427 18.694
-1.200 2.186 5.474
-2.400 4.844 9.101
5.435 4.578 1.816
-2.940 5.290 16.376
2.983 4.590 12.703
-1.758 7.272 5.496
1.193 2.160 16.375
1.802 7.270 16.405
5.427 0.266 1.809
1.283 2.803 9.112
2.975 0.303 12.709
2.971 5.196 5.468
-1.158 6.997 19.981
2.441 4.892 19.963
1.731 2.450 1.810
1.168 6.965 9.119
6.684 2.475 12.716
-1.220 2.814 19.969
0.011 4.897 17.824
0.031 4.942 6.777
4.152 2.452 21.287
0.044 0.056 18.757
0.019 4.813 0.399
0.025 4.867 11.320
0.040 0.064 3.172
4.301 2.365 10.436
8.369 0.069 14.060
8.332 0.015 7.787
4.152 2.441 4.012
4.280 2.484 14.975
```

Values from the calculation:
SG ... P1, No. 1
DFT formation energy ... -1978 meV per atom

=====

(1)
## Na13Zr8Si9P3O48 (PBE-GGA)

Data for Na13Zr8Si9P3O48 after structural relaxation.

Calculated values
- E_form: -3.135 eV per atom
- Calculated total energy: -609.08 eV/cell

a = 9.192 Å, b = 9.196 Å, c = 16.227 Å
α = 90.21°, β = 105.99°, γ = 119.74°
Space group P1 (No. 1)
Inequivalent atoms, fractional coordinates:
Na  0.000  0.000  0.000
Na  0.003  0.502  0.501
Na  0.108  0.269  0.828
Na  0.117  0.777  0.326
Na  0.309  0.161  0.537
Na  0.318  0.689  0.047
Na  0.401  0.517  0.634
Na  0.414  0.081  0.142
Na  0.499  0.885  0.730
Na  0.699  0.262  0.930
Na  0.705  0.763  0.425
Na  0.787  0.029  0.253
Na  0.796  0.529  0.761
Zr  0.044  0.836  0.604
Zr  0.047  0.342  0.104
Zr  0.251  0.944  0.908
Zr  0.255  0.449  0.408
Zr  0.556  0.592  0.853
Zr  0.560  0.094  0.352
Zr  0.749  0.694  0.163
Zr  0.761  0.206  0.661
Si  0.156  0.606  0.750
Si  0.442  0.189  0.753
Si  0.444  0.693  0.254
Si  0.649  0.431  0.512
Si  0.652  0.932  0.012
Si  0.864  0.894  0.760
Si  0.867  0.397  0.261
Si  0.939  0.646  0.005
Si  0.942  0.144  0.503
P  0.155  0.106  0.250
P  0.362  0.349  0.009
P  0.362  0.848  0.508
O  0.026  0.969  0.854
O  0.028  0.465  0.355
O  0.125  0.808  0.999
O  0.129  0.305  0.498
O  0.132  0.167  0.162
O  0.140  0.679  0.657
O  0.165  0.733  0.825
O  0.170  0.230  0.322
O  0.186  0.333  0.009
O  0.186  0.837  0.504
O  0.280  0.058  0.667
O  0.283  0.559  0.168
O  0.318  0.086  0.274
O  0.334  0.596  0.774
O  0.339  0.669  0.508
O  0.342  0.172  0.009
O  0.397  0.417  0.925
O  0.402  0.116  0.842
O  0.404  0.617  0.342
O  0.404  0.917  0.425
O  0.458  0.879  0.255
O  0.468  0.379  0.755
O  0.469  0.441  0.490
O  0.473  0.945  0.988
O  0.514  0.970  0.590
O  0.517  0.474  0.089
O  0.625  0.195  0.755
O  0.631  0.298  0.436
O  0.636  0.720  0.257
~~~

Exercise =
Your job: count the lines above that contain the word "E_form" and give the number alone.

Here it is =
1